Friday, February 18, 2011

This I know for's all about Perspective

Sure, we've all heard about the "glass half full/glass half empty" idea...and it's enlightening, don't get me wrong...but, it's a label - "Well, she's just negative that way.  You know, just a glass half empty kind of girl."  I really don't like that!  I don't like to be labeled anything because it boxes me in .It doesn't allow for change.  I know so many people who grew up being labeled and their adult siblings and parents STILL label them the same as when they were children despite being changed.  A VERY DEAR friend and her husband call this "looking at each other through OLD EYES".  The first time I heard her say that I thought,  WOW...that's so profound!  How often do we look at people as WHO THEY WERE INSTEAD OF WHO THEY ARE?  And, if that's Life 101, then how about this for the Life 301 often do we look at ourselves as WHO WE THINK WE ARE INSTEAD OF WHO GOD SAYS WE ARE? (I'll save that one for another day).

I had this happen to me a few weeks ago when I was on the phone with a family member.  My extended family has been going through a crisis and it has stirred up quite a bit of emotion (hmmm...a family crisis stirring up emotion?  No way!) and I was told that maybe I shouldn't be the one to talk to a certain person because I'm "too defensive".  It was one of those comments that throws you back into childhood.  As I often do when I get a "red flag" emotion, once I got off the phone, I sat down and really prayed about what was said.  I'm not gonna lie, it hurt my feelings. It hurt my feelings...well, because it was critical (and that's not always bad, it just doesn't feel good).  But more than that, it hurt my feelings because that person was viewing me through "old eyes" and doesn't really know ME today. 

Do not conform to the pattern of this world, but be transformed by the renewing of your mind. Then you will be able to test and approve what God’s will is—his good, pleasing and perfect will. Romans 12:2

Therefore, if anyone is in Christ, the new creation has come:  The old has gone, the new is here! 2 Cor 5:17

**What comes next are crystal structures, not part of the piece**
=====
Entry from Alexandria: a relaxed structure of Ba2SeF2 (PBEsol).

Properties
SG	I4/mmm, No. 139
final energy	-27.5	eV per formula unit
uncorrected formation energy	-3.10	eV per atom

```
Ba2SeF2
1.0
4.174 0.000 0.000
0.000 4.174 0.000
-2.087 -2.087 6.876
Ba F Se
2 2 1
direct
0.635 0.635 0.270 Ba
0.365 0.365 0.730 Ba
0.250 0.750 0.500 F
0.750 0.250 0.500 F
0.000 0.000 0.000 Se
```

***

Entry from Alexandria: a relaxed structure of ScFeTcOs2 (PBEsol).

Properties
SG	P4/mmm, No. 123
final energy	-39.3	eV per formula unit
E_form	2.394	eV per atom

```
ScFeTcOs2
1.0
-3.640 -2.390 0.707
2.220 -2.464 3.099
-1.284 2.913 3.236
Tc Fe Os Sc
1 1 2 1
direct
0.500 0.000 0.000 Tc
0.500 0.500 0.500 Fe
0.000 0.000 0.500 Os
0.000 0.500 0.000 Os
0.000 0.000 0.000 Sc
```

***

Entry from Alexandria: a relaxed structure of RbYZr2Ni (PBEsol).

Properties
SG	P4/mmm, No. 123
final energy	-22.7	eV per formula unit
E_form	1.900	eV per atom

```
RbYZr2Ni
1.0
-3.280 -0.266 -3.977
2.387 -4.256 -1.683
-3.445 -3.138 3.051
Ni Zr Y Rb
1 2 1 1
direct
0.500 0.500 0.500 Ni
0.500 0.000 0.000 Zr
0.000 0.500 0.000 Zr
0.000 0.000 0.000 Y
0.000 0.000 0.500 Rb
```

***

Entry from Alexandria: a relaxed structure of TaCrW2 (PBEsol).

Properties
SG	Immm, No. 71
final energy	-50.5	eV per formula unit
E_form	-0.011	eV per atom
excess energy over the best structure of this formula in the dataset	0.011	eV/atom

```
TaCrW2
1.0
-0.655 -2.321 -1.964
4.011 -1.703 0.674
-3.252 -0.373 3.988
Cr Ta W
1 1 2
direct
0.500 0.000 0.000 Cr
0.000 0.500 0.000 Ta
0.243 0.243 0.486 W
0.757 0.757 0.514 W
```

***

Entry from Alexandria: a relaxed structure of Se2Br (PBEsol).

Properties
SG	I4/mmm, No. 139
final energy	-9.5	eV per formula unit
excess energy over the best structure of this formula in the dataset	0.077	eV/atom
uncorrected formation energy	0.02	eV per atom

```
Se2Br
1.0
-0.447 -3.757 0.782
3.822 -0.506 -0.245
-1.220 3.153 4.910
Se Br
2 1
direct
0.244 0.244 0.488 Se
0.756 0.756 0.512 Se
0.000 0.000 0.000 Br
```

***

Entry from Alexandria: a relaxed structure of Ca2LaCo (PBEsol).

Properties
SG	Pm, No. 6
final energy	-17.1	eV per formula unit
E_form	0.063	eV per atom

```
Ca2LaCo
1.0
-1.129 -3.382 0.776
2.408 -1.457 -2.848
4.864 -0.030 6.945
Ca La Co
2 1 1
direct
0.500 0.589 0.301 Ca
0.000 0.915 0.954 Ca
0.500 0.260 0.646 La
0.000 0.736 0.599 Co
```

***

Entry from Alexandria: a relaxed structure of Pt2Rh (PBEsol).

Properties
SG	I4_1/amd, No. 141
final energy	-22.1	eV per formula unit
E_form	-0.011	eV per atom

```
Pt2Rh
1.0
-0.636 2.134 3.158
-3.667 0.531 -1.097
-0.973 -10.884 4.795
Rh Pt
4 8
direct
0.915 0.915 0.831 Rh
0.085 0.085 0.169 Rh
0.165 0.665 0.331 Rh
0.335 0.835 0.669 Rh
0.584 0.584 0.168 Pt
0.000 0.500 0.000 Pt
0.834 0.334 0.668 Pt
0.750 0.750 0.500 Pt
0.250 0.250 0.500 Pt
0.666 0.166 0.332 Pt
0.500 0.000 0.000 Pt
0.416 0.416 0.832 Pt
```

***

Entry from Alexandria: a relaxed structure of Cs2CaTcSe (PBEsol).

Properties
SG	P4/mmm, No. 123
final energy	-16.1	eV per formula unit
=====

God, if we seek Him, grows us and changes us into His likeness.  God calls for forward motion...for change...for the renewing of our minds.  Oh, how I love that He sees me for who I AM and WILL BE (with His transforming power) instead of for who I WAS.

It's all about perspective...clean those eyes (or glasses for those of us who are 40 or above) and look at those around us through "new eyes"'s life in HD.


  1. What a powerful post! I find myself doing this a lot with those who have hurt me. Looking at someone who has caused you pain in the past with new eyes takes forgiveness. Its something we are called to do because God did it first for us!

  2. Love this post. Something I need to remind myself of everyday. Thanks for this mommy :) And whoever said that I'll beat em up! let me at em! :)
